Christopher Ebbe, Ph.D. 2-21
No. 1
A relaxed CsV4O7 crystal. Source: the Alexandria database, functional GGA+U.

## Properties
**Total energy**: -7.340 eV per atom

Cell: 14.3388 5.7743 5.3536 Å, 90.00 90.00 90.00°
Atoms (fractional coordinates):
Cs: 0.0000 0.1787 0.0000
Cs: 0.5000 0.8213 0.5000
V: 0.1195 0.6846 0.4801
V: 0.2482 0.1773 0.4729
V: 0.2518 0.8227 0.9729
V: 0.3805 0.3154 0.9801
V: 0.6195 0.3154 0.9801
V: 0.7482 0.8227 0.9729
V: 0.7518 0.1773 0.4729
V: 0.8805 0.6846 0.4801
O: 0.0000 0.7752 0.3989
O: 0.1386 0.7447 0.8152
O: 0.1459 0.3772 0.4252
O: 0.2119 0.8827 0.3178
O: 0.2881 0.1173 0.8178
O: 0.3541 0.6228 0.9252
O: 0.3614 0.2553 0.3152
O: 0.5000 0.2248 0.8989
O: 0.6386 0.2553 0.3152
O: 0.6459 0.6228 0.9252
O: 0.7119 0.1173 0.8178
O: 0.7881 0.8827 0.3178
O: 0.8541 0.3772 0.4252
O: 0.8614 0.7447 0.8152


No. 2
A relaxed Cs4VO4 crystal. Source: the Alexandria database, functional GGA+U.

## Properties
**Total energy**: -5.008 eV per atom

Cell: 7.7787 7.7787 9.5510 Å, 90.00 90.00 90.00°
Atoms (fractional coordinates):
Cs: 0.0141 0.2500 0.0625
Cs: 0.2500 0.0141 0.5625
Cs: 0.2500 0.4859 0.5625
Cs: 0.4859 0.2500 0.0625
Cs: 0.5141 0.7500 0.9375
Cs: 0.7500 0.5141 0.4375
Cs: 0.7500 0.9859 0.4375
Cs: 0.9859 0.7500 0.9375
V: 0.2500 0.7500 0.2500
V: 0.7500 0.2500 0.7500
O: 0.0683 0.7500 0.3602
O: 0.2500 0.5683 0.1398
O: 0.2500 0.9317 0.1398
O: 0.4317 0.7500 0.3602
O: 0.5683 0.2500 0.6398
O: 0.7500 0.0683 0.8602
O: 0.7500 0.4317 0.8602
O: 0.9317 0.2500 0.6398


No. 3
A relaxed CsVO2 crystal. Source: the Alexandria database, functional GGA+U.

## Properties
**Total energy**: -6.020 eV per atom

Cell: 5.2357 5.3065 5.5757 Å, 90.00 90.43 90.00°
Atoms (fractional coordinates):
Cs: 0.0000 0.0000 0.0000
Cs: 0.5000 0.5000 0.0000
V: 0.0000 0.5018 0.5000
V: 0.5000 0.0018 0.5000
O: 0.2493 0.2444 0.5736
O: 0.2507 0.7444 0.4264
O: 0.7493 0.7444 0.5736
O: 0.7507 0.2444 0.4264


No. 4
A relaxed CsV2O2 crystal. Source: the Alexandria database, functional GGA+U.

## Properties
**Total energy**: -5.724 eV per atom

Cell: 3.3897 3.3897 13.5882 Å, 90.00 90.00 90.00°
Atoms (fractional coordinates):
Cs: 0.0000 0.0000 0.0000
Cs: 0.5000 0.5000 0.5000
V: 0.0000 0.5000 0.2500
V: 0.0000 0.5000 0.7500
V: 0.5000 0.0000 0.2500
V: 0.5000 0.0000 0.7500
O: 0.0000 0.0000 0.3476
O: 0.0000 0.0000 0.6524
O: 0.5000 0.5000 0.1524
O: 0.5000 0.5000 0.8476

----------

# 1
ScOs2Br | PBE-GGA | optimized geometry Values from VASP.

E_form (uncorrected) in eV per atom: 0.230
Excess energy over the best structure of this formula in the dataset in meV/atom: 271
Energy in eV for the cell shown: -29.54

```
&SYSTEM
  ibrav = 0, nat = 4, ntyp = 3
/
ATOMIC_SPECIES
Sc 44.96 Sc.upf
Os 190.23 Os.upf
Br 79.90 Br.upf
ATOMIC_POSITIONS angstrom
Sc 0.000 0.000 0.000
Os 2.671 0.000 3.434
Os 7.511 0.000 0.961
Br 5.091 0.000 2.197
CELL_PARAMETERS angstrom
5.301 -1.491 0.000
5.301 1.491 0.000
-0.421 0.000 4.395
```

---

# 2
LiZn2Te | PBE-GGA | optimized geometry Values from VASP.

E_form (uncorrected) in eV per atom: -0.169
ABSTRACT: Basic psychological needs for being valued, being accepted, and being safe are posited to account for most political populism, and these needs point society toward what needs fixing if populist risings are to be assuaged.
KEY WORDS: psychology, psychological needs, politics, populism
Populist uprisings, such as the one that propelled Mr. Trump to the White House, occur when some segment of society is particularly unhappy, usually because of some perceived threat to themselves and/or their way of life. Many Trump voters and many members of white identity groups (which includes white supremacy groups such as the Proud Boys) (1) felt that they were being left behind economically, partly due to globalization, (2) resented being looked down on by the political and intellectual elites of the country, (3) felt that their sense of morals was being attacked and degraded in most media outlets, and/or (4) felt that their place in society and their worldview, which they identified mainly with their religion and their freedoms, was being neglected and degraded. These concerns and the emotions they aroused were the motivation for the populist uprising that propelled Mr. Trump to the Presidency, and I suspect that one or more of these provides the motivation for all populist risings. (White identity groups are groups for whose white members whiteness has been a key aspect of their self-esteem and who feel that this is being taken away from them by the attention and concern given to immigrants and non-white persons.)
We can identify a number of voter types who voted for Mr. Trump:
- persons of conservative persuasion who voted for Mr. Trump mainly as the conservative alternative, even if they disliked him as a person
- persons who had always voted Republican and who voted for Mr. Trump mainly for that reason, even if they disliked him as a person
- persons who fall in the populist group identified above who voted for Mr. Trump based on their recent experience in life (thinking that only he would be able to make some changes) (Many evangelical voters for Trump could fall in group 3, as they have felt for some time that their beliefs and worldview were being marginalized, but some of them would have voted primarily as members of group 1 or group 2.)
- persons who liked Mr. Trump’s policy promises (be tough on China, take better care of American workers, make our allies pay their way) but who did not fall in groups 1, 2, 3, or 5.
- persons from the militia (prepare to fight federal take-overs), sovereignty (“I am my own country, and the U.S. has no claim on me as a citizen of another country”), and apocalypse (end-of-the-world) groups who related to Mr. Trump as a disrupter (A key difference between groups 3 and 5 is that the Trump voters and white identity groups that are described in group 3 want to be re-included in society in a more favorable status, no matter how much they might criticize current society, while the militias, sovereignty groups, and end-of-the-world groups seek fundamental changes in the country’s philosophy. Many group 5 members did not vote at all.)
- Persons who are attracted to Mr. Trump’s personality (image of strength, power, self-control, control in general, complete willingness to use power to win) but who have few or no populist complaints.
This essay deals only with group 3. Some persons in groups 1, 2, 4, and 5 may have had some of the same four marginalization feelings as group 3 but did not vote for Mr. Trump mainly on that basis. I have no firm basis for estimating the respective sizes of these groups, but it is my impression that a sizeable proportion of attendees at Mr. Trump’s rallies fall in group 3 and 6. Clearly, at his rallies, Mr. Trump talked directly to group 3, and group 3 and 5 persons were the most likely to be aroused by Mr. Trump’s rhetoric of a stolen election and the need to “fight” to keep what we value in our country.
Understandably, this populist uprising has been met largely with criticism and rejection by the elites and the establishment, because its champion, Mr. Trump, was so disliked by the elites and intelligentsia of the country and because it has become an accepted truth in our society that immigrants and non-white persons in our society are discriminated against and disadvantaged. The populist concerns (above) deserve more serious attention, though, since they do represent the reality of those voters in group 3.
The stereotype of these persons is looked down on by society’s institutions, as being coarse, rude, prone to violence, backward, and ignorant. Their conservative morals (abortion, gender-change issues, self-reliance) are rejected by society’s elites and traditional media as well as by the Democrat party. Their religious beliefs are seen as unscientific and backward by people in our upper classes, and their desires for freedoms are seen as antithetical to appropriate controls on behavior in our society.
Our society is so stuck in its either-or, pro-vs.-con, good-evil, black-white thinking and methods that people have been given no leadership toward thinking more broadly about these populist concerns. Everything is couched in fighting terms (struggle, attack, defend, overcome, war,
insurrection), so the majority that elected Mr. Biden are not prepared to take these populist concerns seriously, and our media (both liberal and conservative) purposely use challenging, provocative headlines to garner attention (and money), making the divide worse. We see no public evidence from our main-line churches of compassion and understanding for Trump voters and populists.
As an alternative, if we view the complaints of Trump voters and populists from a psychological point of view, we might find a basis for a more positive response from the rest of society. My formulation of our human need structure (applicable to all persons in all societies) is as follows.
1-life maintenance and support (sufficient capacities and goal attainment to enable you to meet your basic needs at least adequately and to take care of yourself and those legitimately dependent on you)
2-having no more than a minimal or at least no more than a tolerable level of physical pain and bodily damage (recognizing that some amount of physical and emotional pain are normal aspects of human life and the human adaptation)
3-having some pleasure and pleasant emotion in your life (including feeling some amounts of happiness and hope, and ultimately some (for many people, small) amounts of satisfaction, contentment, and fulfillment), mainly through—
3a-having a good relationship with and good feelings toward yourself
(which may include loving yourself, respecting yourself,
accepting yourself, and treating yourself well, and which in
large measure arise from being loved, respected, and accepted
by others in early life and from creating good outcomes for yourself)
3b-having minimal or at least a tolerable level of emotional pain and
internal conflict (though recognizing that some degree of
conflict and pain is inherent in being human)
3c-feeling an adequate level of security
3d-having gratifying relationships with others (see 5 below)
Unrelated to this text: records of crystals >
********
VASP calculation (PBE) on a geometry-optimized PmPa2Te4 structure.

Cell: 4.195 7.218 15.631 Å, 90.00 90.00 106.89°
Atoms (fractional coordinates):
Pm  0.601  0.202  0.750
Pm  0.399  0.798  0.250
Pa  0.150  0.299  0.440
Pa  0.850  0.701  0.940
Pa  0.150  0.299  0.060
Pa  0.850  0.701  0.560
Te  0.792  0.584  0.131
Te  0.792  0.584  0.369
Te  0.208  0.416  0.869
Te  0.208  0.416  0.631
Te  0.930  0.860  0.750
Te  0.070  0.140  0.250
Te  0.500  0.000  0.000
Te  0.500  0.000  0.500

Computed properties:
- symmetry = Cmcm, No. 63
- E_form (uncorrected) (meV per atom) = -887
- calculated volume (Å³/atom) = 32.35
- electronic total energy (eV per atom) = -6.074

---

VASP calculation (PBE) on a geometry-optimized PmPaTe3 structure.

Cell: 5.966 6.216 10.984 Å, 124.44 105.76 90.00°
Atoms (fractional coordinates):
Pm  0.618  0.237  0.236
Pm  0.382  0.763  0.764
Pa  0.838  0.177  0.677
Pa  0.162  0.823  0.323
Te  0.000  0.749  0.000
Te  0.000  0.251  0.000
Te  0.349  0.198  0.698
Te  0.651  0.802  0.302
Te  0.194  0.387  0.387
Te  0.806  0.613  0.613

Computed properties:
- symmetry = C2/m, No. 12
- E_form (uncorrected) (meV per atom) = -901
- calculated volume (Å³/atom) = 31.72
- electronic total energy (eV per atom) = -5.635

---

VASP calculation (PBE) on a geometry-optimized Pm2PaTe structure.

Cell: 3.805 3.805 8.251 Å, 90.00 90.00 90.00°
Atoms (fractional coordinates):
Pa  0.500  0.500  0.000
Te  0.500  0.500  0.500
Pm  0.000  0.000  0.732
Pm  0.000  0.000  0.268

Computed properties:
- symmetry = P4/mmm, No. 123
- E_form (uncorrected) (meV per atom) = -366
- excess energy over the best structure of this formula in the dataset (eV per atom) = 0.0000
- calculated volume (Å³/atom) = 29.87
- electronic total energy (eV per atom) = -5.900

----------

No. 1
Entry from OQMD via LeMat-Bulk: a relaxed TbSn crystal (PBE).

a b c (Å): 4.400 4.400 4.400
angles (deg): 60.00 60.00 60.00
Fractional positions:
Tb 0.000 0.000 0.000
Sn 0.500 0.500 0.500

Calculated values
Total DFT energy (no corrections) ... -9.7 eV for the cell shown
Space-group type ... Fm-3m

---

No. 2
Entry from OQMD via LeMat-Bulk: a relaxed TbSnTe crystal (PBE).

a b c (Å): 5.155 5.155 5.155
angles (deg): 60.00 60.00 60.00
Fractional positions:
Tb 0.000 0.000 0.000
Sn 0.500 0.500 0.500
Te 0.250 0.250 0.250

Calculated values
Total DFT energy (no corrections) ... -12.8 eV for the cell shown
Space-group type ... F-43m

---

No. 3
Entry from OQMD via LeMat-Bulk: a relaxed Tb3SnTe2 crystal (PBE).

a b c (Å): 7.614 7.614 7.609
angles (deg): 99.67 99.67 119.90
Fractional positions:
Tb 0.000 0.500 0.000
Tb 0.158 0.316 0.498
Tb 0.316 0.158 0.998
Tb 0.500 0.000 0.500
Tb 0.684 0.842 0.002
Tb 0.842 0.684 0.502
Sn 0.087 0.913 0.250
Sn 0.913 0.087 0.750
Te 0.254 0.746 0.750
Te 0.418 0.582 0.250
Te 0.582 0.418 0.750
Te 0.746 0.254 0.250

Calculated values
Total DFT energy (no corrections) ... -62.7 eV for the cell shown
Space-group type ... C2/c

---

No. 4
********
4-sex and procreation, including the desire to protect and raise children
5-gratifying relationships with others, including group acceptance for yourself, protecting and defending your groups (family, nation, etc.) when necessary, and helping those of your groups in times of great need
All of the activities that we create in life are means for reaching these fundamental goals.
Most importantly for this discussion, we react strongly when our current satisfaction of these needs or the methods we use to meet these needs are attacked or threatened, and this is what has happened for many Trump voters and members of white identity groups.
Besides basic survival needs, the most painful when unfulfilled are our need to be valued (self-esteem and the esteem and basic acceptance of others), our need to be included as part of
relevant groups (family, social group, work group, nation), and our need to feel relatively secure (to be mostly free of significant fears). These needs, for many Trump voters and members of white identity groups, are not met.
Many of these persons are falling behind economically, and they see other groups to which they once felt superior being praised publically so that they themselves feel downgraded. Our society has nothing to offer them, because we have always believed that people should take care of their needs through their participation in the economy, including finding their own jobs and finding their own better jobs if they wish to “move up.” A significant minority of citizens are now in jobs that do not pay enough to live on, and research is showing that it is becoming less likely that people can actually move up class-wise in the U.S. than it was fifty years ago.
These groups are criticized for the practices they value but that are not valued by the elites and liberal media (valuing church and belief in God, liking guns, hunting with guns, being openly patriotic, being pro-life, identifying with sports heroes and teams, drinking in neighborhood bars, keeping family close, living near where they were born, disliking taking welfare). Many persons who resist adding non-white immigrants to the country feel that they are losing social esteem and an accepted place in society since immigrants seem to them to have more rights than they do, and being white no longer is a justification for feeling good about oneself. Globalization implies that their more near-to-home (insular?) worldview is no longer honored or honorable. They don’t feel equipped to compete in the global market (and may not want to be) and so feel inferior. They do have their families and social groups, but they do not feel welcome in the governance of the country. They do not feel economically secure and therefore fearful, and the rest of the country doesn’t seem to care. Their identities are not valued by the major forces in society, which also raises fears of displacement. For these reasons, they feel marginalized and unable to assert their equality. (These problems do not justify the violence last month at the Capitol, but they do explain the feelings and motives of many who were violent.)
There are good reasons, therefore, for them to gravitate toward Mr. Trump or a similar leader. He validated their value (and deplores the liberal world) and praised their values and their way of life. He talked as if he identified with them. He promised to stand up for them and get them jobs. He assuaged their fear with his never-any-doubts optimism and his absolute refusal to lose or take criticism. He gave voice to and legitimized their anger. He projected the strength that they lack.
Given their value of loyalty and their lack of alternatives, these voters are unlikely to reject or give up on Mr. Trump or others like him until the system starts to provide them with some of the psychological benefits that Mr. Trump gave them. The system, unfortunately, feels more punitive than compassionate toward them at the moment, greatly augmented by the mob attack on the Capitol building just before the inauguration, and mainstream media continue to find sensational “reasons” to criticize them. The mob at the Capitol contained many of the kinds of voters this essay describes but also many members of the militias, sovereigns, and end-of-lifers. Given the one-sidedness of our news outlets (on both sides), it is difficult for many of us to hold in our minds clearly that most Trump voters are not rioters and rarely make political statements at all. They include many middle class, peaceful but fearful and concerned citizens.
Most Biden voters seem to want Trump voters to turn immediately to working together politically, but due to the utter rejection and degradation of Mr. Trump by liberal media over the last four years, this is not going to happen, since for these Trump voters this is a matter of emotion and honor and not of rationality. Further criticizing and demeaning them will simply harden their feelings of victimization. If Mr. Trump leaves the political scene, Mr. Trump’s voters are most likely to withdraw with the attitude they had before Trump came on the scene—that the system and the liberals had never done anything for them before, so why expect something different now?
To move forward, the elites and establishment must accept that there will be no healing until some of the populists’ humiliation and fear are alleviated. Having lost the 2020 election will not lead to healing for these populists until those needs and feelings are addressed. The populists cannot be viewed as alien or enemies to be shaped up but rather as citizens who have been in difficult straits. It is reality that much of the country has “moved on” from the rural, hometown values and way of life of the populists, to city dwelling and internationalism, and the populists must accept that they will not prosper as much as those in the cities unless they evolve, too. On the other hand, if they choose to stay with their hometown values and way of life, they must still be accepted and valued in the country, and their needs must still be addressed by the city majority. There will be no healing unless both sides decide to live together amicably if not in harmony.
## Calculated crystals, as found in the file
........
# 1
The following is a DFT calculation (GGA-PBE) of crystalline MgBeSb2 at its relaxed geometry.

Its crystal system is tetragonal. Its formation energy from raw total energies is 1.23 eV/f.u.

The space group is P4/mmm (No. 123) and the conventional cell measures 3.687, 3.687 and 6.315 Å, with angles of 90.00, 90.00 and 90.00 degrees. The inequivalent atoms are Mg at (0.000, 0.000, 0.000), Be at (0.000, 0.000, 0.500) and Sb at (0.500, 0.500, 0.272).



# 2
The following is a DFT calculation (GGA-PBE) of crystalline La4TbSm3Te8 at its relaxed geometry.

Its crystal system is trigonal. Its formation energy from raw total energies is -23.69 eV/f.u.

The space group is R-3m (No. 166, hexagonal axes) and the conventional cell measures 9.0151, 9.0151 and 22.0372 Å, with angles of 90.00, 90.00 and 120.00 degrees. The inequivalent atoms are La at (0.0000, 0.0000, 0.0000), La at (0.0000, 0.5000, 0.0000), Tb at (0.0000, 0.0000, 0.5000), Sm at (0.0000, 0.5000, 0.5000), Te at (0.0000, 0.0000, 0.2469) and Te at (0.0030, 0.5015, 0.2462).



# 3
The following is a DFT calculation (GGA-PBE) of crystalline CaZr2Cr at its relaxed geometry.

Its formation energy is 0.555 eV/atom. Its crystal system is monoclinic.

The space group is C2/m (No. 12) and the conventional cell measures 6.068, 11.023 and 3.123 Å, with angles of 90.00, 115.60 and 90.00 degrees. The inequivalent atoms are Ca at (0.000, 0.000, 0.000), Zr at (0.250, 0.250, 0.500) and Cr at (0.000, 0.500, 0.000).



# 4
The following is a DFT calculation (GGA-PBE) of crystalline La3ZnRh at its relaxed geometry.

Its formation energy is -0.430 eV/atom. Its crystal system is orthorhombic.

The space group is Fmmm (No. 69) and the conventional cell measures 6.671, 9.774 and 16.516 Å, with angles of 90.00, 90.00 and 90.00 degrees. The inequivalent atoms are La at (0.000, 0.000, 0.200), La at (0.000, 0.191, 0.402), Zn at (0.188, 0.000, 0.000) and Rh at (0.250, 0.250, 0.250).



# 5
The following is a DFT calculation (GGA-PBE) of crystalline RbPuCuCl5 at its relaxed geometry.

Its crystal system is monoclinic. Its formation energy from raw total energies is -12.50 eV/f.u.

The space group is C2/c (No. 15) and the conventional cell measures 9.025, 12.057 and 10.210 Å, with angles of 90.00, 113.23 and 90.00 degrees. The inequivalent atoms are Rb at (0.000, 0.151, 0.250), Pu at (0.000, 0.500, 0.000), Cu at (0.000, 0.191, 0.750), Cl at (0.000, 0.421, 0.250), Cl at (0.104, 0.294, 0.612) and Cl at (0.190, 0.073, 0.917).



# 6
The following is a DFT calculation (GGA-PBE) of crystalline YBCl2 at its relaxed geometry.

Its crystal system is trigonal. Its formation energy from raw total energies is -0.39 eV/f.u.

The space group is R-3m (No. 166, hexagonal axes) and the conventional cell measures 3.5502, 3.5502 and 27.2725 Å, with angles of 90.00, 90.00 and 120.00 degrees. The inequivalent atoms are Y at (0.0000, 0.0000, 0.0000), B at (0.0000, 0.0000, 0.5000) and Cl at (0.0000, 0.0000, 0.3996).



# 7
........
Doing something different is the key to the “unity” that Mr. Biden hopes for. These Trump voters must see that Mr. Biden (1) respects them as citizens (and parts ways with any efforts to castigate and punish Trump voters simply for supporting Trump), (2) includes them as participants in the government deliberations and actions that will affect them, (3) takes action to make their economic situations better (infrastructure program? more manufacturing jobs with protective tariffs? large COVID relief package?), and (4) takes away some of their survival fears—both economically and psychologically—by providing jobs and by openly valuing some of their values. Bear in mind that people change best in supportive environments, not in those in which power is being used on and against them.
It is likely that if you are of a liberal bent, after the fray of the election and the mob at the Capitol, you may find it hard to have sympathy for the Trump voters and white identity group members that are described here, but remember that the persons with the loudest voices in the media in support of Mr. Trump and the persons in the Capitol mob are only a tiny fraction of the 74,000,000 who voted for him. Most of this 74,000,000 were sincere in their populist feelings and their feeling that only Mr. Trump would try to help them. These are fellow Americans who deserve our continued concern.
Despite the differences, mainstream America still has more similarities to these populists than differences, and there is no reason to perceive these differences in values and way of life as a personal threat or as a threat to the progress of the nation as a whole. People with different ways of life can work together in a country if the groups accept each other (requiring dealing on a large scale with the inherent fear that humans have of people who are different). The populists must accept and not vilify growing internationalism but work with government to make the situation work for them as best it can, while the elites and liberals must accept that the values of these populists (family, independence, hard work, religion) do have value. Neither side can view themselves as “better than” the other if we are to live together amicably. If we can see all of us as honorable parts of the country, then the rest of the country should be able to take an attitude toward the populists of togetherness, compassion, and forgiveness (uncharacteristic of humans as this might be!).